Tuesday, February 17, 2009

Tales From The Toddler Bed

Nights one, two and three were pretty uneventful. Samantha was so tired that she fell right asleep in her new bed, and by the 3rd night we didn't even gate her room. We picked her up off of the floor a few times during the night, where she had apparently rolled out of bed and continued her blissful sleep halfway across the room, completely oblivious to her new location. Night four was Sunday. We put her in bed and ate Chinese food and began to watch a movie. About 1/2 hour in, we became aware of the pitter patter of little feet as Samantha came trotting out of her room, HUGE smile on her face, saying "Hi!" Steve and I just looked at each other, trying to decide if we should be stern with her, but we both started laughing and hugging her, telling her she had to go back to bed. Take two...ten minutes after she assured us that she was going to go to sleep, the little pitter patter began again, accompanied by the same cheery greeting, only this time, it was apparent that she needed a diaper change. After that, Steve cuddled her on the couch until she fell asleep, then he put her back into bed. Naps over the weekend were a bit more challenging, as Samantha seemed to think that it was playtime in her room. Lastnight, I realized that her room had to be gated. The gate didn't stop her from standing in her doorway, calling, "Hi!", but we were able to be a bit more stern with her. Tonight she only came to the door twice; the first time, I put her back in bed, and the second time, she closed her door, and I left it like that for a few minutes. When I looked in on her, she had gotten back into bed, and was sucking on her blanket (self-soothing at sleep time). I haven't heard a peep from her since, and have checked in on her to find her in the same peaceful position.

Now, I know this might read like watching paint dry for some of you, but I also know there are several of you who are considering bed transition for your toddlers in the near future, and have asked me how it's been going, so there you have it!

Aside from the cuteness of her little rebellious streak at bedtime, Samantha has been throwing some pretty major tantrums with me. Not with Steve, however. Just me. I think part of it has to do with the fact that I am with her primarily during the times that she is most tired (first thing in the morning when I've had to wake her up for school and last thing at night, when she's had just about enough). It totally makes me feel like a bad guy, but I just hope that it's a temporary phase for her. I've managed to stop her a few times from sinking her teeth into my arm, but haven't been able to avoid getting wacked by flailing arms. Time outs do kind of work for the most part, but aren't 100% effective. I just wish she would tell me what she wants instead of acting out in frustration. Welcome to the terrible twos.


Michelle said...

Sammi, you are too cute. Happy to travel both journeys with you - the bed transition and tantrums! Sounds like she is getting the hang of it pretty well. We are only one night two and I'm pretty sure Matty is in our bed right now with Brian..LOL! So I'm getting a little nervous about the kiddos hitting three! Something tells me it will be an eventful year for us.

Carey said...

Misplaced molecular data
/*
{
  "formula": "C37H36F2GaN2O3S4",
  "method": "ωB97M-V with the def2-TZVPD basis set",
  "species": ["Ga", "O", "S", "C", "C", "C", "C", "S", "O", "C", "C", "C", "C", "C", "C", "C", "C", "C", "C", "C", "C", "H", "H", "H", "H", "H", "H", "H", "H", "H", "H", "H", "H", "H", "H", "H", "H", "H", "H", "F", "C", "C", "C", "C", "C", "F", "C", "C", "C", "C", "C", "C", "N", "H", "H", "H", "H", "H", "H", "C", "C", "C", "C", "C", "C", "C", "C", "N", "H", "H", "H", "H", "H", "H", "H", "H", "H", "C", "O", "C", "S", "S", "H", "H", "H"],
  "coordinates": [[0.232, -0.194, 0.595], [-1.114, 0.937, -2.343], [-1.029, -0.297, -3.173], [-2.199, -1.513, -2.485], [-3.528, -0.891, -2.086], [-4.381, -1.827, -1.230], [-3.876, -2.077, 0.176], [-3.590, -0.686, 1.308], [-2.363, 0.006, 0.771], [-4.959, 0.352, 0.743], [-6.261, -0.013, 1.062], [-7.320, 0.754, 0.601], [-7.076, 1.892, -0.161], [-5.769, 2.277, -0.431], [-4.705, 1.513, 0.032], [-1.946, 0.057, -4.677], [-2.639, 1.251, -4.765], [-3.301, 1.564, -5.944], [-3.254, 0.692, -7.024], [-2.541, -0.497, -6.930], [-1.877, -0.815, -5.755], [-1.679, -1.911, -1.610], [-2.287, -2.296, -3.243], [-4.104, -0.618, -2.974], [-3.300, 0.026, -1.542], [-4.442, -2.811, -1.712], [-5.399, -1.431, -1.203], [-2.899, -2.560, 0.192], [-4.559, -2.731, 0.725], [-6.438, -0.893, 1.672], [-8.338, 0.468, 0.836], [-7.904, 2.480, -0.536], [-5.576, 3.172, -1.009], [-3.674, 1.793, -0.155], [-2.642, 1.915, -3.909], [-3.849, 2.494, -6.024], [-3.768, 0.941, -7.944], [-2.492, -1.169, -7.777], [-1.304, -1.732, -5.678], [1.412, -1.560, 5.687], [1.880, -1.391, 4.428], [1.136, -0.693, 3.499], [1.641, -0.454, 2.221], [2.917, -0.964, 1.895], [3.591, -1.721, 2.847], [4.790, -2.308, 2.563], [3.107, -1.943, 4.120], [3.505, -0.605, 0.575], [4.858, -0.712, 0.252], [5.286, -0.219, -0.972], [4.389, 0.320, -1.873], [3.041, 0.329, -1.500], [2.634, -0.095, -0.306], [0.153, -0.338, 3.791], [3.665, -2.531, 4.834], [5.565, -1.136, 0.945], [6.341, -0.247, -1.221], [4.703, 0.755, -2.812], [1.172, 1.009, -1.840], [1.391, 3.528, -2.713], [1.854, 2.665, -3.854], [1.968, 3.178, -5.138], [2.419, 2.386, -6.183], [2.728, 1.057, -5.949], [2.600, 0.498, -4.680], [2.816, -0.980, -4.494], [2.193, 1.323, -3.626], [2.041, 0.809, -2.321], [1.240, 4.555, -3.044], [2.124, 3.525, -1.903], [0.450, 3.159, -2.302], [1.708, 4.215, -5.316], [2.527, 2.803, -7.176], [3.053, 0.425, -6.767], [3.333, -1.398, -5.357], [1.851, -1.486, -4.393], [3.392, -1.217, -3.602], [-2.424, -1.698, 6.583], [-1.918, -2.066, 5.307], [-2.741, -2.305, 4.258], [-4.417, -2.180, 4.386], [-1.894, -2.706, 2.847], [-1.768, -0.915, 6.965], [-2.380, -2.566, 7.244], [-3.449, -1.344, 6.516]],
  "orbital_gap_ev": 6.053,
  "charge": -1,
  "total_energy_ha": -5484.0472
}

{
  "formula": "C37H36F2NSi",
  "method": "ωB97M-V with the def2-TZVPD basis set",
*/
The piece goes on

What a big girl! Doesn't sound too bad, I'm pretty impressed. We still faithfully use a gate in Chelsea's doorway. I'm amazed at how well she's doing in her bed, it's crazy!!! Our girls are so smart!

Carol N. said...

Gotta love the pitter patter and the cuter than ever "HI" you get at bedtime. It's like they know you're all relaxed and your defenses are down.

Linda said...

Awww, good for Sammi! She looks so cute in her big girl bed. Thanks for sharing this with us-sounds like she's settling into the new routine. As for the tantrums and near-biting events, we're right there with you. Lila bit me so hard at physical therapy last week that she drew blood. I didn't see it coming until it was too late.

Beth said...

What a big girl in the bed! She sounds just like every other kid I know who transitions to a bed!

Sorry about the frustrations and the flailings. I think kids always save the worst for the mommy. Hang in there--you'll get the most lovin' too!

Renee said...

She is so cute in her big bed!

Lydia would love a toddler bed but I don't think she will easily stay in it. Amazingly it was a never a problem with Wesley, but I think things will be different with her.

Amy said...

Go Sammi! I remember moving Milan to a toddler bed. It took awhile for her but finally she adjusted. Looks like she is doing great. She is such a doll. We love you guys and are sad we won't be neighbors much longer. :( Glad you won't be too far away.

Jeanette said...

Version a
DFT (wB97M-V/def2-TZVPD) results for a gas-phase ion, C4H4N3 (charge +1).

Lowest unoccupied orbital energy (alpha / beta) in Eh: -0.2493 / -0.2492
Gap between HOMO and LUMO (alpha / beta) in eV: 6.02 / 6.02
Total charge: +1

Structure (XYZ):
```
11
C4H4N3 (wB97M-V/def2-TZVPD)
C 0.656 0.905 1.155
C 0.402 1.828 0.293
C 0.419 -0.503 1.101
C -0.550 -0.479 -1.049
N -1.525 -0.656 -3.185
N -1.075 -0.706 -2.146
N -0.145 -1.076 0.040
H 1.137 1.247 2.078
H 0.248 2.668 -0.332
H 0.679 -1.131 1.934
H -0.247 -2.095 0.111
```

Version b
DFT (wB97M-V/def2-TZVPD) results for a gas-phase ion, C4H4N3 (charge +1).

Lowest unoccupied orbital energy (alpha / beta) in Eh: -0.3326 / -0.3177
Gap between HOMO and LUMO (alpha / beta) in eV: 6.20 / 7.96
SMILES string: C=CC1=NN=[N+]=C1
Total charge: +1

Structure (XYZ):
```
11
C4H4N3 (wB97M-V/def2-TZVPD)
C -0.219 1.177 -0.990
C 0.526 0.193 -0.224
C -1.179 -1.246 1.088
C 0.130 -0.948 0.595
N 0.723 1.986 -1.367
N 1.890 0.575 -0.317
N 1.901 1.614 -1.012
H -1.262 1.143 -1.268
H -1.474 -2.211 1.366
H -1.986 -0.493 1.265
H 0.951 -1.791 0.865
```

Quick one: most stable of them? version b

Version a
DFT (wB97M-V/def2-TZVPD) results for a gas-phase ion, C3H8N2OS (charge +1).

Lowest unoccupied orbital energy (alpha / beta) in Eh: -0.1467 / -0.3473
Gap between HOMO and LUMO (alpha / beta) in eV: 9.54 / 3.90
Multiplicity: 2
Total charge: +1

Structure (XYZ):
```
15
C3H8N2OS (wB97M-V/def2-TZVPD)
C -0.623 0.824 -0.752
C 0.500 -0.356 -1.025
S 0.801 -0.741 -2.786
N -0.610 1.199 0.697
C -0.479 0.083 1.600
N 0.774 0.050 2.215
O -1.112 -0.959 1.399
H -0.326 1.732 -1.380
H -1.668 0.544 -0.928
H 0.323 -1.254 -0.419
H 1.493 0.124 -0.708
H 0.278 -1.964 -3.069
H -1.530 1.581 0.852
H 0.753 -0.721 2.872
H 1.425 -0.141 1.431
```

Version b
DFT (wB97M-V/def2-TZVPD) results for a gas-phase ion, C3H8N2OS (charge +1).

Lowest unoccupied orbital energy (alpha / beta) in Eh: -0.1490 / -0.3375
Gap between HOMO and LUMO (alpha / beta) in eV: 10.08 / 4.81
Multiplicity: 2
Total charge: +1

Structure (XYZ):
```
15
C3H8N2OS (wB97M-V/def2-TZVPD)
N -1.701 -0.464 0.573
C -0.271 -0.245 0.276
C 0.075 0.400 -1.066
S 0.314 -0.869 -2.322
C 0.419 0.522 1.399
N 0.361 -0.035 2.628
O 0.888 1.613 1.157
H -2.028 0.332 1.112
H -2.233 -0.422 -0.295
H 0.144 -1.262 0.247
H 1.068 0.880 -1.012
H -0.671 1.104 -1.454
H 0.154 -0.094 -3.418
H -0.134 -0.915 2.649
H 0.226 0.613 3.398
```

Quick one: most stable of them? version b


(1)
{
  "formula": "C3H5N5O",
  "method": "the ωB97M-V functional and the def2-TZVPD basis",
  "elements": ["C", "C", "C", "H", "H", "H", "H", "H", "N", "N", "N", "N", "N", "O"],

We did this with my son. Eventually the novelty of the toddler bed wore off. Even now at 5 we go through times where he gets up after bedtime. Samantha is so adorable! You take such amazing pictures... but then again you have a beautiful subject. I can't wait to meet her!

Monica said...

Sounds like she is doing great!!! Adam still comes into our room every night! And he is 10! ugh~